### Contents
~~~
Compound: Te2MoRh
Source: Alexandria via LeMat-Bulk
Functional: PBE
Structure: relaxed

Calculated values
**Excess energy over the best structure of this formula in the dataset**: 0.826 eV/atom
**D(E_F)**: 0.657 states/eV per atom
**Size of the total moment**: 0.000 μB per atom

Geometry as CIF:
```
data_Te2MoRh
_symmetry_space_group_name_H-M 'P 1'
_symmetry_Int_Tables_number 1
_cell_length_a 4.8270
_cell_length_b 4.8270
_cell_length_c 4.8270
_cell_angle_alpha 60.00
_cell_angle_beta 60.00
_cell_angle_gamma 60.00
loop_
_symmetry_equiv_pos_as_xyz
'x,y,z'
loop_
_atom_site_label
_atom_site_fract_x
_atom_site_fract_y
_atom_site_fract_z
Te1 0.2500 0.2500 0.2500
Te2 0.0000 0.0000 0.0000
Mo1 0.5000 0.5000 0.5000
Rh1 0.7500 0.7500 0.7500
```
~~~

### Assignment
Next, echo the notes further above verbatim.

### Solution
Compound: Te2MoRh
Source: Alexandria via LeMat-Bulk
Functional: PBE
Structure: relaxed

Calculated values
**Excess energy over the best structure of this formula in the dataset**: 0.826 eV/atom
**D(E_F)**: 0.657 states/eV per atom
**Size of the total moment**: 0.000 μB per atom

Geometry as CIF:
```
data_Te2MoRh
_symmetry_space_group_name_H-M 'P 1'
_symmetry_Int_Tables_number 1
_cell_length_a 4.8270
_cell_length_b 4.8270
_cell_length_c 4.8270
_cell_angle_alpha 60.00
_cell_angle_beta 60.00
_cell_angle_gamma 60.00
loop_
_symmetry_equiv_pos_as_xyz
'x,y,z'
loop_
_atom_site_label
_atom_site_fract_x
_atom_site_fract_y
_atom_site_fract_z
Te1 0.2500 0.2500 0.2500
Te2 0.0000 0.0000 0.0000
Mo1 0.5000 0.5000 0.5000
Rh1 0.7500 0.7500 0.7500
```